Your job: transcribe the entries below from the line with "1.0881" to the end unchanged.

<<<
Material: NiRhIO2
Method: DFT, PBE with a Hubbard U
State: relaxed

Values from the calculation:
DOS at the Fermi energy (states/eV/atom): 1.0881
Mass density (Mg/m³): 5.8
Energy above the most stable polymorph in this dataset (meV/atom): 452
Crystal system: tetragonal
V (Å³ per cell): 92.5
Symmetry: P4/mmm, No. 123

a b c (Å): 3.7001 3.7001 6.7599
angles (deg): 90.00 90.00 90.00
Last column: magnetic moment on the atom in μB.
>>>

DOS at the Fermi energy (states/eV/atom): 1.0881
Mass density (Mg/m³): 5.8
Energy above the most stable polymorph in this dataset (meV/atom): 452
Crystal system: tetragonal
V (Å³ per cell): 92.5
Symmetry: P4/mmm, No. 123

a b c (Å): 3.7001 3.7001 6.7599
angles (deg): 90.00 90.00 90.00
Last column: magnetic moment on the atom in μB.